Scholarship Programs

Westminster Academy proudly accepts Florida’s School Choice Scholarships, administered through Step Up For Students. Thanks to legislation signed by Governor Ron DeSantis in 2023, these scholarships are now available to all families, regardless of income.

At WA, we believe that parents are entrusted by God with the responsibility of raising and educating their children. Our role is to partner with families and the Church to equip the next generation for Christ. This legislation affirms that parents should have the power to choose their child’s education, and we fully support it.

We encourage all WA families to apply as there are no income restrictions.

School Choice Scholarships

Westminster Academy accepts the Florida Tax Credit Scholarship Program and the Family Empowerment Scholarship for Students with Unique Abilities. These programs are administered through Step Up For Students, a state-approved scholarship funding organization.

The Florida Tax Credit Scholarship Program (FTC) was created to empower families to pursue and engage in the most appropriate learning options for their children.

The Family Empowerment Scholarship for Students with Unique Abilities provides Florida students with special needs the opportunity to attend a participating private school.

To access the application or for more information, please visit or call 877.735.7837.

Frequently Asked Questions

1. When should I apply for the scholarship?

Apply as soon as Step Up for Students sends an email notification that the application window is open in the EMA portal. This applies to both new applicants and re-enrollments.

  • Current scholarship recipients must reapply annually.
  • Parents of PK4 students can apply now for Kindergarten eligibility in the next school year.

2. Where do I apply?

Apply through the Education Market Assistant (EMA) portal, accessible via the Step Up for Students website: Step Up for Students Login.

How can I check my application status?
Log into the EMA portal to check your application status.

  • If the status is Draft or On Hold, your application is incomplete and requires action.
  • If you need assistance, contact Step Up at 877.735.7837 or use the online chat. Help videos are also available on the Step Up website.

3. Can the school check my application status?

No. The school does not have access to your EMA account. You must contact Step Up directly for updates.

Important Security Note:
If you forward an email from Step Up that contains an EMA access link, the school cannot access your information. The link is exclusive to the parent’s registered email.

5. Which program should I apply for?

Step Up for Students offers multiple scholarship programs. You cannot apply for both FES-EO/FTC (including FTCPEP) and FES-UA at the same time.

  • Private School Students: Apply for FTC (Florida Tax Credit) or FES-EO (Family Empowerment Scholarship – Educational Option).
  • Students with Disabilities: Apply for FES-UA (Family Empowerment Scholarships for Students with Unique Abilities). A student must have an Individualized Education Program (IEP) to qualify.
  • Do NOT apply for PEP (Personalized Education Program) or Transportation unless homeschooling.

6. Do I need to reapply for next school year?

Yes, all students must reapply each year.

  • Renewal families will receive an email from Step Up with a link and instructions. A new Award ID is issued annually.
  • New families should visit Step Up for Students to apply.

Finalizing EMA Enrollment:
Once approved, you must log in to accept or decline the scholarship, as required by Florida law.

7. What should I do after receiving my Award ID?

  • Ensure the New Award ID is different from the current year’s ID.
  • WA must receive the new Award ID, Student ID, Award Type, and Award Amount to enroll your student in EMA.
  • If WA does not complete the enrollment step, Step Up will assume your student is not enrolled, and the school will not receive scholarship funds.

8. Why does WA need my Award amount?

The award amount helps determine your tuition payment plan. Send your Award amount as shown in the EMA portal.

9. How are scholarship amounts determined?

Scholarship funding is based on:

  • Student’s grade level
  • County of residence

## Attached: records of molecules
____________
{
  "formula": "C5H8O3",
  "method": "ωB97M-V/def2-TZVPD",
  "elements": ["O", "H", "H", "C", "H", "C", "O", "C", "H", "C", "O", "H", "H", "C", "H", "H"],
  "coordinates": [[-2.8850, -1.3107, -0.3583], [2.3600, 1.1721, 0.1648], [1.8556, 0.7608, -1.4840], [-0.3154, 0.7865, 0.1633], [-0.3611, 1.3047, 1.1126], [2.0377, 0.3675, -0.4885], [1.0929, -0.8072, 1.3329], [-2.3160, -1.4513, 0.6208], [2.8224, -0.3823, -0.5296], [0.7613, -0.2630, 0.0734], [-1.7514, -1.6043, 1.6059], [-1.0699, 0.6158, -1.7867], [0.4321, -1.0669, -0.6097], [-1.1142, 1.1199, -0.8348], [-1.8458, 1.9042, -0.7445], [0.2966, -1.1458, 1.7623]],
  "orbital_gap_ev": 10.479,
  "de_lowest_ev": 0.355,
  "smiles": "C=C[C@@H](C)O.O=C=O",
  "total_charge": 0,
  "e_tot_ev": -11457.164,
  "multiplicity": 1
}

---

{
  "formula": "C5H8O3P",
  "method": "ωB97M-V/def2-TZVPD",
  "elements": ["C", "C", "H", "H", "H", "H", "O", "H", "H", "C", "H", "O", "P", "H", "C", "O", "C"],
  "coordinates": [[-1.1305, -0.6470, 0.4043], [0.8077, -0.2330, -1.2925], [0.6161, 0.0999, 2.0369], [-0.8225, -1.3862, 1.0779], [1.9751, 0.7741, 1.1191], [-0.2585, 2.1784, 0.8011], [-1.7570, -2.9197, -0.8571], [0.6922, 2.2402, -0.5536], [-1.1635, 1.7281, -0.8385], [1.2206, 0.0265, 1.1149], [1.4762, -1.1715, 1.1353], [1.8648, 0.2389, -1.7346], [-1.6136, -1.4991, -1.2439], [-2.1006, -0.2115, 0.7973], [-0.1485, 1.7419, -0.2238], [0.1406, -1.2865, -1.7905], [0.2015, 0.3265, 0.0477]],
  "orbital_gap_ev": [2.965, 8.204],
  "total_charge": -1,
  "e_tot_ev": -20743.706,
  "multiplicity": 3
}

---

{
  "formula": "C5H8O3S",
  "method": "ωB97M-V/def2-TZVPD",
  "elements": ["H", "S", "H", "H", "C", "H", "C", "C", "O", "H", "H", "C", "H", "O", "H", "C", "O"],
  "coordinates": [[-0.0470, 1.9188, 1.6388], [1.5522, 0.0209, 0.0131], [-1.8332, 1.3886, 1.1586], [1.4461, -2.3914, 0.3093], [-0.7763, 0.8173, -1.1319], [-1.7776, 0.7101, -1.1337], [0.9712, -1.6295, -0.4224], [-0.4603, -1.2275, 0.0696], [2.1714, -0.0044, 1.2974], [0.8744, -1.9575, -1.5210], [-0.4983, 0.1823, -2.0494], [-0.7804, 1.0755, 1.3351], [-0.9215, 0.4547, 2.2395], [-1.3622, -2.0053, 0.3323], [-0.5034, 1.8488, -1.2115], [-0.3174, 0.1939, 0.1649], [2.2622, 0.6048, -1.0885]],
  "orbital_gap_ev": 10.501,
  "de_lowest_ev": 2.303,
  "total_charge": 0,
  "e_tot_ev": -22290.152,
  "multiplicity": 1
}

---

{
  "formula": "C5H8O4",
  "method": "ωB97M-V/def2-TZVPD",
  "elements": ["C", "C", "H", "H", "O", "H", "H", "O", "H", "O", "C", "O", "C", "H", "H", "C", "H"],
  "coordinates": [[-0.8841, -2.3783, -0.7679], [-0.4339, 1.9998, 1.3031], [1.0016, -1.5349, -2.9100], [-0.0260, 2.3920, 0.3719], [0.9298, 3.1028, 2.9335], [1.2516, -2.7289, -0.9642], [0.9471, -1.3975, 0.1066], [-1.7692, -1.6078, -1.1759], [0.0228, 1.0199, 1.4943], [-1.0007, -3.5619, -0.3519], [0.5922, -1.8660, -0.8218], [-1.3092, 3.3988, 3.0495], [-0.2589, 2.9274, 2.5468], [1.6513, -0.2316, -1.7878], [-1.4903, 1.7394, 1.2129], [0.8439, -0.9205, -2.0202], [-0.0679, -0.3527, -2.2188]],
  "orbital_gap_ev": 7.890,
____________

10. Why is my FACTS payment plan amount different from EMA?

FACTS tuition plans initially use the current scholarship award amount. New award amounts are usually released in August and will be updated in FACTS accordingly.

11. Is there a deadline for EMA enrollment?

Yes. Parents and the school must complete the student’s EMA enrollment by the deadline specified in Step Up emails. Contact Step Up if unsure of the dates.

12. What happens if my student isn’t enrolled in EMA by the deadline?

  • The scholarship amount may be reduced.
  • The student may not receive the full award amount.

Final Step: Accept EMA Enrollment
After WA enrolls your student in EMA, parents must accept the enrollment in EMA. If this step is skipped:

  • Step Up assumes the student is not enrolled at WA, and
  • The school will not receive scholarship funds.

13. Why is the tuition amount in EMA higher than FACTS?

Attached: calculated molecules.
........
This record from the Open Molecules 2025 dataset describes C36H58BrEuN6O4Si as an isolated structure. The level of theory is wB97M-V/def2-TZVPD.

```
107
Properties=species:S:1:pos:R:3:forces:R:3
Eu 1.485892 1.414325 0.732410 -1.5 0.2 -0.8
Br 2.116352 2.342626 4.011434 0.0 -1.9 -1.1
Si -2.168916 1.135557 1.027182 -1.7 1.4 -0.1
O -2.184827 0.028717 2.197986 1.1 1.0 -0.2
O -2.765726 0.421662 -0.335270 -0.6 0.8 0.0
O -0.649280 1.591503 0.694132 3.0 -0.2 0.0
O -3.010091 2.507680 1.494137 0.7 -0.7 -0.2
N 2.048346 2.687111 -1.564588 -0.4 -1.1 0.3
N 1.987314 -0.217246 2.487801 0.2 2.0 1.0
N 1.810851 -4.544021 -4.050680 0.0 -0.3 0.8
N -0.428304 -4.362529 -3.782442 1.0 -0.2 -0.4
N 1.627864 -0.664042 -0.774968 -0.5 0.1 1.3
N 4.180806 2.721403 0.687818 -0.5 -1.6 -1.0
C -2.826010 4.861394 1.429634 -1.5 -0.4 -0.6
C 0.839704 -3.916592 -3.407937 -0.9 -0.6 -2.0
C 2.334445 -2.341868 -2.326874 0.7 1.2 1.7
C -2.710072 -1.243742 4.051993 -0.6 0.6 -0.1
C 2.624337 -1.376230 -1.329276 -1.3 -0.9 -1.7
C -3.536116 -0.282608 -2.437561 -0.1 1.3 -0.8
C 0.831316 -7.732951 -5.763149 0.5 1.3 0.9
C -1.123550 -6.361624 -5.097526 0.4 -0.7 -0.6
C 3.587345 -1.639936 4.260404 0.0 0.7 -0.6
C 5.156346 1.644052 0.414256 0.0 0.5 -0.4
C -0.206765 -5.418699 -4.663910 0.8 0.2 1.0
C 3.237480 -0.287303 4.504499 0.6 -0.8 0.2
C -4.509468 -0.392720 2.580058 -1.4 -0.3 0.1
C -5.093423 0.990342 -0.910316 -0.2 -0.3 -0.3
C -3.668320 0.867648 -1.438072 0.5 -0.5 0.7
C 1.152431 3.855441 -1.299634 0.6 -0.9 -0.7
C -0.008818 -2.142636 -1.825942 1.3 1.2 1.0
C 0.345954 -1.060333 -0.982062 -0.1 -0.7 -1.1
C 1.753859 -6.750415 -5.357941 -0.6 0.3 -0.4
C -3.708643 3.669685 3.517820 0.9 0.1 -0.2
C 3.453441 3.068529 -1.733694 0.7 0.5 -0.1
C 1.028258 -2.812539 -2.517443 0.0 1.1 0.5
C 4.056409 3.631860 -0.447544 0.9 0.2 -0.8
C -2.665942 3.657756 2.346519 -0.9 -0.6 0.2
C 1.637764 1.912029 -2.756621 0.5 0.7 -1.1
C -3.139020 -0.940065 2.609707 2.4 -1.2 0.3
C -2.823498 -2.137148 1.697844 -0.6 -0.1 -0.2
C -3.160523 2.190856 -1.998689 0.5 0.2 -1.3
C 4.540064 3.461012 1.867371 0.0 -0.3 1.2
C 3.111561 -2.237016 3.076768 0.2 -0.8 1.6
C -1.265977 3.549376 2.941758 -0.2 0.7 0.6
C 1.237827 -5.572043 -4.775319 -2.5 0.4 0.5
C -0.566910 -7.524682 -5.598177 0.8 0.3 -0.1
C 3.395884 -3.687342 2.819130 1.2 0.4 0.1
C 2.530157 0.426689 3.548763 -0.4 -0.8 0.6
C 2.204322 -1.525637 2.332495 -0.2 0.3 -1.1
H -4.542277 0.526560 3.168451 -0.1 -0.2 0.2
H -0.440985 -0.476904 -0.486253 0.3 -0.3 -0.3
H -2.157878 4.757717 0.586750 0.3 0.0 -0.3
H 0.117026 3.555858 -1.224413 -0.3 -0.4 -0.2
H 5.054146 4.054464 -0.716168 -0.5 -0.1 0.2
H -2.202111 -6.257992 -5.075740 0.1 0.1 0.3
H -2.808017 -1.758089 0.667363 -0.2 -0.4 0.1
H 2.833617 -6.815108 -5.482186 -0.3 -0.4 0.0
H -3.324332 3.086295 4.360637 -0.2 -0.2 -0.2
H 1.421940 4.257333 -0.347558 0.2 0.6 0.7
H 3.160045 -2.704502 -2.909589 0.1 -0.6 0.0
H 0.643619 1.528211 -2.641207 -0.7 0.0 0.1
H -3.832953 4.675148 3.918989 0.0 0.1 -0.2
H -5.194258 -1.169346 2.992344 0.2 0.8 -0.2
........
The piece goes on.

WA provides Step Up with the maximum tuition and fees a student may incur, including optional program fees. Your actual tuition due is based on the amount listed in FACTS.

14. How is the scholarship paid?

Step Up disburses funds in four quarterly payments throughout the school year.

  • Payment details are available on the Step Up website.
  • Contact Step Up for the payment schedule if needed.

15. During the school year, when I see “Funded’ in EMA, what steps do I need to take?

[The entry is interrupted by data records]
No. 1
Molecular formula: C30H35FN5O4PdS2
Method: DFT, the ωB97M-V functional and the def2-TZVPD basis

Summary:
Gap between HOMO and LUMO (spin up / spin down) (eV): 6.10 / 5.63
2S+1: 3
Total charge: -1

CARTESIAN COORDINATES (ANGSTROEM)
1 Pd 9.0144 9.1667 16.0068
2 C 10.7624 11.9144 19.2008
3 C 9.7840 11.4052 20.3111
4 C 10.5617 11.1922 21.6514
5 C 8.8737 10.1799 19.9890
6 C 7.6964 10.2422 20.8099
7 C 6.6848 9.2777 20.7838
8 C 6.8194 8.2810 19.8668
9 C 7.9328 8.1683 19.0311
10 C 7.9588 6.8301 18.2259
11 C 9.2469 6.0176 17.8234
12 C 6.9036 6.7686 17.0544
13 C 8.9185 9.2024 18.9701
14 N 9.8107 9.2509 17.9004
15 C 11.1769 8.9962 18.1774
16 C 11.5463 8.2062 19.2446
17 C 12.8373 7.6946 19.3829
18 C 13.8713 8.0122 18.4974
19 C 13.5410 8.8427 17.3628
20 C 12.2760 9.3867 17.2894
21 F 12.0301 10.3539 16.3732
22 H 10.8593 13.0076 19.2377
23 H 10.3706 11.6816 18.1839
24 H 11.7553 11.4473 19.2944
25 H 9.0325 12.1687 20.4987
26 H 10.8669 10.1444 21.7756
27 H 9.9644 11.4733 22.5137
28 H 11.4698 11.7890 21.6974
29 H 7.5961 11.1103 21.4797
30 H 5.8170 9.4136 21.4535
31 H 6.0225 7.5858 19.7124
32 H 7.5109 6.1773 18.9923
33 H 10.1186 6.6145 17.5409
34 H 8.9879 5.4529 16.9207
35 H 9.5431 5.3125 18.6470
36 H 7.3661 6.4593 16.1299
37 H 6.3439 7.7016 16.8752
38 H 6.2091 5.9539 17.3287
39 H 10.7774 7.8719 19.9088
40 H 12.9808 7.0919 20.2793
41 H 14.8553 7.5441 18.5216
42 H 14.3297 9.0641 16.6362
43 S 11.2061 5.9051 13.8026
44 C 10.9700 7.1368 14.7757
45 N 10.8032 8.1188 15.4239
46 C 6.6530 14.1122 15.5142
47 N 6.7215 12.7050 15.7133
48 C 5.6341 11.9146 16.2610
49 C 6.3565 10.5883 16.4683
50 O 5.7611 9.5776 16.8382
51 N 7.6861 10.7251 16.0942
52 C 7.8607 11.9772 15.6986
53 N 9.0518 12.5485 15.4222
54 H 5.7839 14.5079 16.0500
55 H 6.4689 14.2943 14.4098
56 H 7.5979 14.5479 15.7825
57 H 4.8136 11.8694 15.5299
58 H 5.2823 12.3596 17.1967
59 H 9.6622 11.9800 14.8246
60 H 9.0667 13.5274 15.1359
61 C 10.2858 7.2742 7.6773
62 C 9.9383 8.0147 8.9523
63 C 10.4435 9.2904 9.1400
64 C 10.1666 10.0109 10.3040
65 C 9.4468 9.4133 11.3193
66 C 8.8835 8.1667 11.1221
67 C 9.0944 7.4844 9.9358
68 S 8.9573 10.3669 12.8165
69 O 7.7337 11.1254 12.6167
70 O 8.7674 9.2625 13.8741
71 O 10.0961 11.2763 13.1082
72 H 10.7461 7.9814 6.9741
73 H 9.3662 6.8611 7.2067
74 H 11.0164 6.4326 7.7711
75 H 11.1005 9.7257 8.3769
76 H 10.5596 11.0131 10.4405
77 H 8.2530 7.7188 11.8695
78 H 8.6777 6.4863 9.7823

Atom charges from the Mulliken analysis, given in e for atoms 1 to 5: atom 1 (Pd): 1.011, atom 2 (C): -1.543, atom 3 (C): 0.512, atom 4 (C): -1.628, atom 5 (C): 0.136


No. 2
Molecular formula: C30H35MnN3O2
Method: DFT, the ωB97M-V functional and the def2-TZVPD basis

Summary:
Gap between HOMO and LUMO (spin up / spin down) (eV): 5.36 / 7.18
2S+1: 6

CARTESIAN COORDINATES (ANGSTROEM)
1 Mn -0.1272 -0.2265 -0.1200
2 C 4.1779 -0.6833 -0.1510
3 C 4.6066 0.6540 -0.3488
4 C 3.6762 1.6432 -0.4280
5 C 2.2977 1.3467 -0.3093
6 N 1.8871 0.0313 -0.1524
7 C 2.8405 -0.9294 -0.0719
8 C 1.2704 2.3251 -0.3312
[The entry goes on]

  • “Funded” means that your quarterly funds are available in EMA to be distributed to your school.
  • Parents must approve each quarterly payment in EMA before funds are sent to the school.
  • You will receive an automatic notification quarterly when action is needed. Please log in to EMA to approve your student’s upcoming payment to Westminster Academy.
  • Step Up sends reminder emails and texts if payments remain unapproved.
  • Funds are reflected in your FACTS account in approximately two weeks.

16. How will the scholarship appear in my FACTS payment plan?

  • Until all state funds are received, the scholarship amount will show as a balance due, with a May 16 scheduled payment date.
  • Step Up’s quarterly payments received by WA will reduce the scheduled May 16 balance due and payment.
  • Do not make payments toward this balance—state funds will cover it.

For more information, visit Step Up for Students or contact Step Up directly.

The Folds of Honor Children’s Fund Scholarship subsidizes the costs of tuition, school books, fees, approved educational tutoring, and other approved educational expenses for children of America’s fallen and disabled service-members. .

Scholarships are awarded up to $5,000. The award amount is based on the “unmet need” calculated on the Financial Need page of the application.

The Scholarship application is open from February 1 to March 31 each year.

For information about the Folds of Honor Children’s Fund Scholarship, please visit their website at or email: